**Contents**
~~~
(1)
Starting from DFT lattice parameters and positions (GGA-PBE), the XRD peak list of ScTiCrH was calculated for Cu Kα.
Kinematic intensities with the Lorentz-polarization factor, no thermal factor.

Most intense lines, 5 to 70 degrees two-theta, in order of falling intensity:
d_spacing	2theta	Rel. int.
2.329	38.66	100
2.266	39.78	58
1.602	57.52	17
5.085	17.44	14
1.357	69.24	11
1.717	53.35	10

Cell and atoms:
```
ScTiCrH
1.0
3.205 0.000 0.000
0.000 3.205 0.000
0.000 0.000 10.170
Sc Ti Cr H
2 2 2 2
direct
0.000 0.000 0.000
0.500 0.500 0.500
0.000 0.000 0.713
0.500 0.500 0.213
0.000 0.000 0.328
0.500 0.500 0.828
0.000 0.000 0.510
0.500 0.500 0.010
```

(2)
Starting from DFT lattice parameters and positions (GGA-PBE), the XRD peak list of CrHSe2 was calculated for Cu Kα.
Kinematic intensities with the Lorentz-polarization factor, no thermal factor.

Most intense lines, 5 to 70 degrees two-theta, in order of falling intensity:
d_spacing	2theta	Rel. int.
6.907	12.82	100
2.156	41.90	52
2.030	44.63	39
2.010	45.10	37
2.479	36.23	37
2.502	35.89	31

Cell and atoms:
```
CrHSe2
1.0
7.147 0.000 0.000
0.000 5.518 0.000
-1.803 0.000 6.783
Cr H Se
4 4 8
direct
0.000 0.109 0.164
0.000 0.391 0.664
0.000 0.609 0.336
0.000 0.891 0.836
0.000 0.071 0.635
0.000 0.429 0.135
0.000 0.571 0.865
0.000 0.929 0.365
0.229 0.219 0.957
0.229 0.281 0.457
0.229 0.719 0.663
0.229 0.781 0.163
0.771 0.219 0.837
0.771 0.281 0.337
0.771 0.719 0.543
0.771 0.781 0.043
```

(3)
Starting from DFT lattice parameters and positions (GGA-PBE), the XRD peak list of TaV2CrH was calculated for Cu Kα.
Kinematic intensities with the Lorentz-polarization factor, no thermal factor.

Most intense lines, 5 to 70 degrees two-theta, in order of falling intensity:
d_spacing	2theta	Rel. int.
2.234	40.38	100
2.833	31.58	28
2.264	39.82	26
1.816	50.24	26
3.632	24.51	25
4.527	19.61	23

Cell and atoms:
```
TaV2CrH
1.0
3.632 0.000 0.000
0.000 3.632 0.000
0.000 0.000 4.527
Ta V Cr H
1 2 1 1
direct
0.000 0.000 0.000
0.000 0.500 0.500
0.500 0.000 0.500
0.500 0.500 0.000
0.500 0.500 0.500
```

(4)
Starting from DFT lattice parameters and positions (GGA-PBE), the XRD peak list of TbCr2H8 was calculated for Cu Kα.
Kinematic intensities with the Lorentz-polarization factor, no thermal factor.

Most intense lines, 5 to 70 degrees two-theta, in order of falling intensity:
d_spacing	2theta	Rel. int.
2.886	30.99	100
2.925	30.56	62
2.237	40.32	39
3.813	23.33	28
1.750	52.27	27
1.571	58.77	26

Cell and atoms:
```
TbCr2H8
1.0
4.414 0.000 0.000
0.000 3.906 2.184
0.000 -3.906 2.184
Tb Cr H
1 2 8
direct
0.000 0.000 0.000
0.500 0.342 0.695
0.500 0.695 0.342
0.220 0.015 0.474
0.220 0.474 0.015
0.251 0.500 0.500
0.500 0.023 0.792
0.500 0.792 0.023
0.749 0.500 0.500
0.780 0.015 0.474
0.780 0.474 0.015
```

(5)
Starting from DFT lattice parameters and positions (GGA-PBE), the XRD peak list of Cr2TcH2 was calculated for Cu Kα.
Kinematic intensities with the Lorentz-polarization factor, no thermal factor.

Most intense lines, 5 to 70 degrees two-theta, in order of falling intensity:
d_spacing	2theta	Rel. int.
2.235	40.36	100
1.948	46.62	33
5.733	15.46	24
1.364	68.82	17
1.911	47.59	13
1.378	68.06	10

Cell and atoms:
```
Cr2TcH2
1.0
2.755 0.000 0.000
0.000 2.755 0.000
0.000 0.000 11.465
Cr Tc H
4 2 4
direct
0.000 0.000 0.153
0.000 0.000 0.847
0.500 0.500 0.347
0.500 0.500 0.653
0.000 0.000 0.500
0.500 0.500 0.000
0.000 0.500 0.250
0.000 0.500 0.750
0.500 0.000 0.250
0.500 0.000 0.750
```

(6)
Starting from DFT lattice parameters and positions (GGA-PBE), the XRD peak list of VCr2H4 was calculated for Cu Kα.
Kinematic intensities with the Lorentz-polarization factor, no thermal factor.

Most intense lines, 5 to 70 degrees two-theta, in order of falling intensity:
d_spacing	2theta	Rel. int.
2.215	40.74	100
2.120	42.64	39
1.414	66.10	27
2.597	34.54	26
4.241	20.95	10
1.499	61.89	8

Cell and atoms:
```
VCr2H4
1.0
-2.598 2.598 3.669
2.598 -2.598 3.669
2.598 2.598 -3.669
V Cr H
2 4 8
direct
0.375 0.625 0.750
~~~

**Brief**
Now copy the whole of the data earlier on without additions.

**Response**
(1)
Starting from DFT lattice parameters and positions (GGA-PBE), the XRD peak list of ScTiCrH was calculated for Cu Kα.
Kinematic intensities with the Lorentz-polarization factor, no thermal factor.

Most intense lines, 5 to 70 degrees two-theta, in order of falling intensity:
d_spacing	2theta	Rel. int.
2.329	38.66	100
2.266	39.78	58
1.602	57.52	17
5.085	17.44	14
1.357	69.24	11
1.717	53.35	10

Cell and atoms:
```
ScTiCrH
1.0
3.205 0.000 0.000
0.000 3.205 0.000
0.000 0.000 10.170
Sc Ti Cr H
2 2 2 2
direct
0.000 0.000 0.000
0.500 0.500 0.500
0.000 0.000 0.713
0.500 0.500 0.213
0.000 0.000 0.328
0.500 0.500 0.828
0.000 0.000 0.510
0.500 0.500 0.010
```

(2)
Starting from DFT lattice parameters and positions (GGA-PBE), the XRD peak list of CrHSe2 was calculated for Cu Kα.
Kinematic intensities with the Lorentz-polarization factor, no thermal factor.

Most intense lines, 5 to 70 degrees two-theta, in order of falling intensity:
d_spacing	2theta	Rel. int.
6.907	12.82	100
2.156	41.90	52
2.030	44.63	39
2.010	45.10	37
2.479	36.23	37
2.502	35.89	31

Cell and atoms:
```
CrHSe2
1.0
7.147 0.000 0.000
0.000 5.518 0.000
-1.803 0.000 6.783
Cr H Se
4 4 8
direct
0.000 0.109 0.164
0.000 0.391 0.664
0.000 0.609 0.336
0.000 0.891 0.836
0.000 0.071 0.635
0.000 0.429 0.135
0.000 0.571 0.865
0.000 0.929 0.365
0.229 0.219 0.957
0.229 0.281 0.457
0.229 0.719 0.663
0.229 0.781 0.163
0.771 0.219 0.837
0.771 0.281 0.337
0.771 0.719 0.543
0.771 0.781 0.043
```

(3)
Starting from DFT lattice parameters and positions (GGA-PBE), the XRD peak list of TaV2CrH was calculated for Cu Kα.
Kinematic intensities with the Lorentz-polarization factor, no thermal factor.

Most intense lines, 5 to 70 degrees two-theta, in order of falling intensity:
d_spacing	2theta	Rel. int.
2.234	40.38	100
2.833	31.58	28
2.264	39.82	26
1.816	50.24	26
3.632	24.51	25
4.527	19.61	23

Cell and atoms:
```
TaV2CrH
1.0
3.632 0.000 0.000
0.000 3.632 0.000
0.000 0.000 4.527
Ta V Cr H
1 2 1 1
direct
0.000 0.000 0.000
0.000 0.500 0.500
0.500 0.000 0.500
0.500 0.500 0.000
0.500 0.500 0.500
```

(4)
Starting from DFT lattice parameters and positions (GGA-PBE), the XRD peak list of TbCr2H8 was calculated for Cu Kα.
Kinematic intensities with the Lorentz-polarization factor, no thermal factor.

Most intense lines, 5 to 70 degrees two-theta, in order of falling intensity:
d_spacing	2theta	Rel. int.
2.886	30.99	100
2.925	30.56	62
2.237	40.32	39
3.813	23.33	28
1.750	52.27	27
1.571	58.77	26

Cell and atoms:
```
TbCr2H8
1.0
4.414 0.000 0.000
0.000 3.906 2.184
0.000 -3.906 2.184
Tb Cr H
1 2 8
direct
0.000 0.000 0.000
0.500 0.342 0.695
0.500 0.695 0.342
0.220 0.015 0.474
0.220 0.474 0.015
0.251 0.500 0.500
0.500 0.023 0.792
0.500 0.792 0.023
0.749 0.500 0.500
0.780 0.015 0.474
0.780 0.474 0.015
```

(5)
Starting from DFT lattice parameters and positions (GGA-PBE), the XRD peak list of Cr2TcH2 was calculated for Cu Kα.
Kinematic intensities with the Lorentz-polarization factor, no thermal factor.

Most intense lines, 5 to 70 degrees two-theta, in order of falling intensity:
d_spacing	2theta	Rel. int.
2.235	40.36	100
1.948	46.62	33
5.733	15.46	24
1.364	68.82	17
1.911	47.59	13
1.378	68.06	10

Cell and atoms:
```
Cr2TcH2
1.0
2.755 0.000 0.000
0.000 2.755 0.000
0.000 0.000 11.465
Cr Tc H
4 2 4
direct
0.000 0.000 0.153
0.000 0.000 0.847
0.500 0.500 0.347
0.500 0.500 0.653
0.000 0.000 0.500
0.500 0.500 0.000
0.000 0.500 0.250
0.000 0.500 0.750
0.500 0.000 0.250
0.500 0.000 0.750
```

(6)
Starting from DFT lattice parameters and positions (GGA-PBE), the XRD peak list of VCr2H4 was calculated for Cu Kα.
Kinematic intensities with the Lorentz-polarization factor, no thermal factor.

Most intense lines, 5 to 70 degrees two-theta, in order of falling intensity:
d_spacing	2theta	Rel. int.
2.215	40.74	100
2.120	42.64	39
1.414	66.10	27
2.597	34.54	26
4.241	20.95	10
1.499	61.89	8

Cell and atoms:
```
VCr2H4
1.0
-2.598 2.598 3.669
2.598 -2.598 3.669
2.598 2.598 -3.669
V Cr H
2 4 8
direct
0.375 0.625 0.750